Class Es6ToEs3ClassSideInheritance

  • All Implemented Interfaces:
    CompilerPass, HotSwapCompilerPass

    public final class Es6ToEs3ClassSideInheritance
    extends java.lang.Object
    implements HotSwapCompilerPass
    Rewrites static inheritance to explicitly copy inherited properties from superclass to subclass so that the typechecker knows the subclass has those properties.

Records of crystals, kept here for reference
+++
Entry from Alexandria: a relaxed structure of Tc2Au (PBE). Values from VASP.

Quantum ESPRESSO input file:
```
&SYSTEM
  ibrav = 0, nat = 12, ntyp = 2
/
ATOMIC_SPECIES
Tc 98.00 Tc.upf
Au 196.97 Au.upf
CELL_PARAMETERS angstrom
6.189 0.000 0.000
0.000 6.189 0.000
0.000 0.000 6.189
ATOMIC_POSITIONS angstrom
Tc 0.623 0.623 0.623
Tc 0.623 2.472 3.717
Tc 2.472 3.717 0.623
Tc 2.472 5.566 3.717
Tc 3.717 0.623 2.472
Tc 3.717 2.472 5.566
Tc 5.566 3.717 2.472
Tc 5.566 5.566 5.566
Au 0.000 0.000 3.095
Au 0.000 3.095 0.000
Au 3.095 0.000 0.000
Au 3.095 3.095 3.095
```

Computed properties:
DOS at the Fermi energy = 4.237 states/eV/f.u.
Symmetry = Pa-3
Raw total energy = -20.57 eV/f.u.

***

Entry from Alexandria: a relaxed structure of Dy2CuSi4Rh3 (PBE). Values from VASP.

Quantum ESPRESSO input file:
```
&SYSTEM
  ibrav = 0, nat = 10, ntyp = 4
/
ATOMIC_SPECIES
Dy 162.50 Dy.upf
Cu 63.55 Cu.upf
Si 28.09 Si.upf
Rh 102.91 Rh.upf
CELL_PARAMETERS angstrom
4.104 0.000 0.000
0.000 4.104 0.000
0.000 0.000 9.872
ATOMIC_POSITIONS angstrom
Dy 0.000 2.052 2.430
Dy 2.052 0.000 7.443
Cu 0.000 0.000 4.936
Si 0.000 0.000 0.000
Si 0.000 2.052 6.239
Si 2.052 0.000 3.633
Si 2.052 2.052 0.000
Rh 0.000 2.052 8.613
Rh 2.052 0.000 1.260
Rh 2.052 2.052 4.936
```

Computed properties:
DOS at the Fermi energy = 5.919 states/eV/f.u.
Symmetry = P-4m2
Formation energy from raw total energies = -0.900 eV/atom

***

Entry from Alexandria: a relaxed structure of Ac3Hg4Au2 (PBE). Values from VASP.

Quantum ESPRESSO input file:
```
&SYSTEM
  ibrav = 0, nat = 9, ntyp = 3
/
ATOMIC_SPECIES
Ac 227.00 Ac.upf
Hg 200.59 Hg.upf
Au 196.97 Au.upf
CELL_PARAMETERS angstrom
5.869 -2.492 0.000
5.869 2.492 0.000
-3.963 0.000 8.732
ATOMIC_POSITIONS angstrom
Ac 0.000 0.000 0.000
Ac 2.480 0.000 3.001
Ac 5.294 0.000 5.731
Hg -0.991 0.000 3.276
Hg -0.500 0.000 8.166
Hg 8.274 0.000 0.567
Hg 8.766 0.000 5.457
Au 1.740 0.000 6.330
Au 6.035 0.000 2.402
```

Computed properties:
DOS at the Fermi energy = 5.423 states/eV/f.u.
Symmetry = C2/m
Raw total energy = -25.44 eV/f.u.

***

Entry from Alexandria: a relaxed structure of Re2TcBr (PBE). Values from VASP.

Quantum ESPRESSO input file:
```
&SYSTEM
  ibrav = 0, nat = 12, ntyp = 3
/
ATOMIC_SPECIES
Re 186.21 Re.upf
Tc 98.00 Tc.upf
Br 79.90 Br.upf
CELL_PARAMETERS angstrom
2.893 0.000 0.000
-1.446 2.505 0.000
0.000 0.000 26.127
ATOMIC_POSITIONS angstrom
Re 0.000 0.000 0.000
Re 0.000 0.000 6.598
Re 0.000 1.670 17.418
Re 0.000 1.670 24.016
Re 1.446 0.835 8.709
Re 1.446 0.835 15.307
Tc 0.000 0.000 19.567
Tc 0.000 1.670 10.858
Tc 1.446 0.835 2.149
Br 0.000 0.000 12.985
Br 0.000 1.670 4.276
Br 1.446 0.835 21.694
```

Computed properties:
DOS at the Fermi energy = 5.272 states/eV/f.u.
Symmetry = R3m
Formation energy from raw total energies = 0.566 eV/atom

***

Entry from Alexandria: a relaxed structure of CaSmAu4 (PBE). Values from VASP.

Quantum ESPRESSO input file:
```
&SYSTEM
  ibrav = 0, nat = 6, ntyp = 3
/
ATOMIC_SPECIES
Ca 40.08 Ca.upf
Sm 150.36 Sm.upf
Au 196.97 Au.upf
+++

    For example, the main transpilation passes will convert this ES6 code:

       class Foo { static f() {} }
       class Bar extends Foo {}
    to this ES3 code:
       function Foo() {}
       Foo.f = function() {};
       function Bar() {}
       $jscomp.inherits(Bar, Foo);
    and then this class will convert that to
       function Foo() {}
       Foo.f = function() {};
       function Bar() {}
       $jscomp.inherits(Bar, Foo);
       Bar.f = Foo.f;
    Additionally, there are getter and setter fields which are transpiled from:
       class Foo { static get prop() { return 1; } }
       class Bar extends Foo {}
       var Foo = function() {};
       Foo.prop; // stub declaration so that the type checker knows about prop
       Object.defineProperties(Foo, {prop:{get:function() { return 1; }}});
       var Bar = function() {};
       $jscomp.inherits(Bar, Foo);
    The stub declaration of Foo.prop needs to be duplicated for Bar so that the type checker knows that Bar also has this property. (ES5 clases don't have class-side inheritance).
       var Bar = function() {};
       $jscomp.inherits(Bar, Foo);

    In order to gather the type checker declarations, this pass gathers all GETPROPs on a class. In order to determine which of these are the stub declarations it filters them based on names discovered in Object.defineProperties. Unfortunately, we cannot simply gather the defined properties because they don't have the type information (JSDoc). The type information is stored on the stub declarations so we must gather both to transpile correctly.

    TODO(tdeegan): In the future the type information for getter/setter properties could be stored in the defineProperties functions. It would reduce the complexity of this pass significantly.

    • Constructor Detail

      • Es6ToEs3ClassSideInheritance

        public Es6ToEs3ClassSideInheritance​(AbstractCompiler compiler)
    • Method Detail

      • process

        public void process​(Node externs,
                            Node root)
        Description copied from interface: CompilerPass
        Process the JS with root node root. Can modify the contents of each Node tree
        Specified by:
        process in interface CompilerPass
        externs - Top of external JS tree
        root - Top of JS tree
      • hotSwapScript

        public void hotSwapScript​(Node scriptRoot,
                                  Node originalRoot)
        Description copied from interface: HotSwapCompilerPass
        Process the JS with root node root. This is supposed to be significantly faster compared to corresponding full-compiler passes.
        Specified by:
        hotSwapScript in interface HotSwapCompilerPass
        scriptRoot - Root node corresponding to the file that is modified, should be of type Token.SCRIPT.
        originalRoot - Root node corresponding to the original version of the file that is modified. Should be of type token.SCRIPT.